# Exercise
Please restate only the lines below with the word "as" in them.
# Given
=====
Compound: MnCuO2F
Source: Alexandria via LeMat-Bulk
Functional: PBE+U
Structure: relaxed

Geometry as CIF:
```
data_MnCuO2F
_space_group_name_H-M_alt 'P 1'
_space_group_IT_number 1
_cell_length_a 3.8008
_cell_length_b 3.8008
_cell_length_c 3.8134
_cell_angle_alpha 90.00
_cell_angle_beta 90.00
_cell_angle_gamma 90.00
loop_
_space_group_symop_operation_xyz
'x,y,z'
loop_
_atom_site_label
_atom_site_type_symbol
_atom_site_fract_x
_atom_site_fract_y
_atom_site_fract_z
_atom_site_occupancy
Mn1 Mn 0.0000 0.0000 0.0000 1
Cu1 Cu 0.5000 0.5000 0.5000 1
O1 O 0.0000 0.5000 0.5000 1
O2 O 0.5000 0.0000 0.5000 1
F1 F 0.5000 0.5000 0.0000 1
```

Output
Fermi-level density of states (states/eV/f.u.): 2.80
Space group: P4/mmm, No. 123
Final energy (eV per atom): -5.54

----------

# Rb2TiVO6

A geometry-optimized Rb2TiVO6 structure (PBE with a Hubbard U, the Alexandria database).

Cell and atoms, written as CIF:
```
data_Rb2TiVO6
_cell_length_a 9.9287
_cell_length_b 9.9287
_cell_length_c 9.9287
_cell_angle_alpha 34.28
_cell_angle_beta 34.28
_cell_angle_gamma 34.28
_symmetry_space_group_name_H-M 'P 1'
_symmetry_Int_Tables_number 1
_symmetry_space_group_name_Hall 'P 1'
loop_
_atom_site_label
_atom_site_fract_x
_atom_site_fract_y
_atom_site_fract_z
Rb1 0.1308 0.1308 0.1308
Rb2 0.2822 0.2822 0.2822
Rb3 0.7178 0.7178 0.7178
Rb4 0.8692 0.8692 0.8692
Ti1 0.4025 0.4025 0.4025
Ti2 0.5975 0.5975 0.5975
V1 0.0000 0.0000 0.0000
V2 0.5000 0.5000 0.5000
O1 0.1745 0.5969 0.5969
O2 0.1993 0.1993 0.7157
O3 0.1993 0.7157 0.1993
O4 0.2843 0.8007 0.8007
O5 0.4031 0.4031 0.8255
O6 0.4031 0.8255 0.4031
O7 0.5969 0.1745 0.5969
O8 0.5969 0.5969 0.1745
O9 0.7157 0.1993 0.1993
O10 0.8007 0.2843 0.8007
O11 0.8007 0.8007 0.2843
O12 0.8255 0.4031 0.4031
```

Density of states at the Fermi level in states/eV/f.u.: 4.63
Raw total energy in eV per atom: -6.669

----------

1.
LiCdRh2 | PBE | optimized geometry

Cell lengths 9.071, 2.808, 4.823 Å; angles 90.00, 100.46, 90.00 degrees
Space group C2/m (No. 12)
Asymmetric unit:
Li 0.000 0.000 0.000 [2 per cell]
Cd 0.000 0.500 0.500 [2 per cell]
Rh 0.247 0.500 0.233 [4 per cell]

Values from the calculation:
E_form ... -0.50 eV/f.u.
Density ... 8.9 g/cm3
Magnetic moment ... 0.0 μB per formula unit

=====

2.
Dy2BiS5 | PBE | optimized geometry

Cell lengths 5.338, 13.479, 13.214 Å; angles 90.00, 90.00, 90.00 degrees
Space group Cmcm (No. 63)
Asymmetric unit:
Dy 0.000 0.158 0.066 [8 per cell]
Bi 0.000 0.171 0.750 [4 per cell]
S 0.000 0.040 0.600 [8 per cell]
S 0.000 0.261 0.250 [4 per cell]
S 0.000 0.303 0.580 [8 per cell]

Values from the calculation:
Uncorrected energy ... -5.478 eV/atom
Density ... 4.9 g/cm3
Magnetic moment ... 0.0 μB per formula unit

=====

3.
PrThMgAg | PBE | optimized geometry

Cell lengths 7.633, 7.633, 7.633 Å; angles 90.00, 90.00, 90.00 degrees
Space group F-43m (No. 216)
Asymmetric unit:
Pr 0.000 0.000 0.000 [4 per cell]
Th 0.000 0.000 0.500 [4 per cell]
Mg 0.250 0.250 0.250 [4 per cell]
Ag 0.250 0.250 0.750 [4 per cell]

Values from the calculation:
E_form ... -0.01 eV/f.u.
Density ... 7.5 g/cm3
Magnetic moment ... 0.0 μB per formula unit

=====

4.
Gd2AsH | PBE | optimized geometry

Cell lengths 3.9740, 3.9740, 18.4361 Å; angles 90.00, 90.00, 120.00 degrees
Space group R-3m (No. 166, hexagonal axes)
Asymmetric unit:
Gd 0.0000 0.0000 0.2429 [6 per cell]
As 0.0000 0.0000 0.0000 [3 per cell]
H 0.0000 0.0000 0.5000 [3 per cell]

Values from the calculation:
Uncorrected energy ... -9.898 eV/atom
Density ... 7.7 g/cm3
Magnetic moment ... 14.3 μB per formula unit

----------

Compound: LiH2Ir
Source: the Alexandria database
Functional: GGA-PBE
Structure: relaxed

Cell: 3.4970 3.4970 3.4970 Å, 60.00 60.00 60.00°
Positions (direct):
1 H 0.2500 0.2500 0.2500
2 H 0.7500 0.7500 0.7500
3 Ir 0.5000 0.5000 0.5000
4 Li 0.0000 0.0000 0.0000

Computed properties:
E above lowest polymorph	43.8	kJ per mole of atoms


Compound: Ca3LaN
Source: the Alexandria database
Functional: GGA-PBE
Structure: relaxed
=====
# Completed
Geometry as CIF:
Cell and atoms, written as CIF: